Murray considers in his book three aspects of what he thinks are correlated: illegitimacy, economic inactivity and crime. He thinks that last two are caused by first and the unemployment has caused divorces as men are less attractive and the state benefit for single parents offers an alternative to marriage. But no statistical evidence proves that the opposite about rising employment is true as well: counties were unemployment has fallen have experienced no change in illegitimacy.
The text is interrupted by data records >
[1]
# BaCa2AcHg4
Theoretical powder X-ray diffraction pattern, Cu Kα (weighted mean of Kα1 and Kα2). Input: a structure optimized by DFT (GGA-PBE).

Largest 10 diffraction maxima, most intense first, 10 to 80 degrees two-theta:
| index | 2theta | intensity |
| --- | --- | --- |
| 0 1 8 | 31.73 | 100 |
| 1 1 0 | 31.90 | 100 |
| 1 2 8 | 56.74 | 39 |
| 2 0 8 | 45.62 | 37 |
| 1 0 4 | 22.35 | 20 |
| 3 0 0 | 56.85 | 20 |
| 1 0 16 | 56.42 | 19 |
| 3 1 8 | 75.74 | 17 |
| 2 1 16 | 75.46 | 16 |
| 0 1 2 | 19.36 | 16 |

Structural model:
abc: 5.6101 5.6101 27.7035
angles: 90.00 90.00 120.00
Space group R-3m (No. 166, hexagonal axes)
Inequivalent atoms, fractional coordinates:
Ba1 0.0000 0.0000 0.0000 (multiplicity 3)
Ca1 0.0000 0.0000 0.2501 (multiplicity 6)
Ac1 0.0000 0.0000 0.5000 (multiplicity 3)
Hg1 0.0000 0.0000 0.1268 (multiplicity 6)
Hg2 0.0000 0.0000 0.3782 (multiplicity 6)

***

[2]
# BaCaAcTm
Theoretical powder X-ray diffraction pattern, Cu Kα (weighted mean of Kα1 and Kα2). Input: a structure optimized by DFT (GGA-PBE).

Largest 10 diffraction maxima, most intense first, 10 to 80 degrees two-theta:
| index | 2theta | intensity |
| --- | --- | --- |
| 2 2 0 | 28.73 | 100 |
| 4 2 2 | 50.89 | 41 |
| 1 1 1 | 17.47 | 22 |
| 4 0 0 | 41.07 | 19 |
| 6 2 0 | 67.38 | 18 |
| 3 1 1 | 33.82 | 14 |
| 4 4 0 | 59.49 | 13 |
| 3 3 1 | 44.95 | 6 |
| 5 1 1 | 54.22 | 5 |
| 5 3 1 | 62.51 | 5 |

Structural model:
abc: 8.790 8.790 8.790
angles: 90.00 90.00 90.00
Space group F-43m (No. 216)
Inequivalent atoms, fractional coordinates:
Ba1 0.000 0.000 0.000 (multiplicity 4)
Ca1 0.250 0.250 0.750 (multiplicity 4)
Ac1 0.250 0.250 0.250 (multiplicity 4)
Tm1 0.000 0.000 0.500 (multiplicity 4)


The following is a theoretical powder XRD pattern of Ga5Pt. It was derived from a structure optimized by DFT (PBE), using a wavelength of 1.5418 Å.

```
48
Lattice="6.4981 0.0000 0.0000 0.0000 15.9732 0.0000 -3.0851 0.0000 8.3999" Properties=species:S:1:pos:R:3 pbc="T T T"
Ga -1.0846 15.9679 2.9985
Ga -1.0846 7.9919 2.9985
Ga -1.9029 2.6820 6.5177
Ga -1.9029 5.3046 6.5177
Ga -0.3034 2.6787 2.2266
Ga -0.3034 5.3079 2.2266
Ga 0.5619 9.0984 0.2093
Ga 0.5619 14.8614 0.2093
Ga -0.3151 10.7040 4.6376
Ga -0.3151 13.2558 4.6376
Ga 0.1814 2.6340 4.8392
Ga 0.1814 5.3526 4.8392
Ga -0.8516 11.9799 7.8630
Ga 1.7934 2.6416 0.6769
Ga 1.7934 5.3450 0.6769
Ga 1.3853 11.9799 1.8443
Ga 0.2241 0.9561 7.2442
Ga 0.2241 7.0305 7.2442
Ga 1.7969 0.9160 3.0344
Ga 1.7969 7.0705 3.0344
Ga 1.6161 8.9026 5.3655
Ga 1.6161 15.0571 5.3655
Ga 3.1890 8.9427 1.1557
Ga 3.1890 15.0171 1.1557
Ga 2.0277 3.9933 6.5556
Ga 1.6197 10.6282 7.7230
Ga 1.6197 13.3315 7.7230
Ga 4.2646 3.9933 0.5369
Ga 3.2316 10.6206 3.5607
Ga 3.2316 13.3392 3.5607
Ga 3.7282 2.7174 3.7623
Ga 3.7282 5.2692 3.7623
Ga 2.8512 1.1118 8.1906
Ga 2.8512 6.8748 8.1906
Ga 3.7165 10.6653 6.1733
Ga 3.7165 13.2945 6.1733
Ga 5.3159 10.6686 1.8822
Ga 5.3159 13.2912 1.8822
Ga 4.4976 0.0053 5.4014
Ga 4.4976 7.9813 5.4014
Pt -0.5616 9.5001 6.9486
Murray combines the statistics for illegitimacy and the number of persons in the social group V in different counties and finds a good correlation. This can mean that as the poor communities gather, the social pattern changes and a one-parent family will become a norm. He thinks these changes in the society are sensational and should not be ignored, but faced.
As the illegitimate boys grow up without fathers in poor conditions, they are tempted to steal as their situation is bad. They also have no archetype to accept from a father and are more likely to have illegitimate children as their fathers did.
The current welfare policy favours single parents and unemployed people. That will create a temptation for couples to remain secretly cohabiting, but not to marry, in order to live in a free council house and get benefits. But the mean life of cohabiting is 5 times less than that of marriages, so children in this case are more likely to be left with one parent.
The unemployment benefit is usually larger than the wage the poor can obtain when they are working at low-paid jobs. It is called the poverty trap and will encourage people to the unemployment as they will not understand the long-term benefits of employment (like the future pay rises and increases in skills).
The solution for this is to make the benefits for married couples at least as large as those for married (the minimalist solution). This would not change the attitudes of people towards favouring the marriage and would be very expensive. Murray argues that the state cannot be in the position of giving aid to people as their parents and friends do, because state can be cheated very easily, so his real solution would be to economically penalise single women, so that they would demand marriage from men. Murray reaches this decision from the comparison of todays world with Victorian era where divorce was impossible and thus illegitimacy was low. Then the crime was also low and so was unemployment. So Murray simply thinks the two-parent family should be restored and the problems will solve by themselves.
Critics from professional social scientist concentrate mainly on the simplicity and on the false use of the statistics in Murray's argument. The correlation between illegitimacy and economic inactivity does not necessary mean causation, couple of examples how the statistics could have been interpreted differently:
Unemployment is considered to be mainly among elderly and illegitimacy among younger people. So it is false to combine them.
The growing trend in divorce doesn't necessary imply the unpopularity of marriage, but maybe the growing popularity of cohabitation. The number of children without a parent is rising much slower than the number of illegitimate children born.
The crime rate is only higher amongst illegitimate children because they are poorer and need to steal the food.
Critics also think Murray is only looking illegitimacy, which is simplistic, because things are more complex and involve the rising level of overall poverty, exclusion from the society and economic recession. All these contributed also towards the unemployment and crime.
The punishment of illegitimacy could worsen the situation, because the decision for single parenthood is not always based on economic reasons and is not voluntary for most of the time. Selective benefit is extremely hard to set and already at present not all women are receiving benefits, although they would offer more freedom to women.
Besides the policies Murray offers have been unsuccessfully tried before in 1930-s. And considering the forcing of males to marriage, Murray does not mention the Child Support Agency, that did exactly that, but failed.
Critics consider the comparison with the Victorian era to be irrelevant, as they think is the comparison between UK and USA, because Murray has not done enough research. Murray is with an extreme right wing attitude in this case and uses his subjective view, whereas social trends should be looked at more objective side.
Critics are also suspicious about the fact that the trend is only happening in lower classes and that the welfare state causes it. Welfare state, if it is forcing people, should also do so with upper classes. Besides the statistics showing growing difference between upper and lower classes are made up by Murray based only indirect evidence from US.
The policies Murray offers won't work in the short run, because it takes time to change people's attitudes. During that time the mothers unmarried at present will have to live in poverty and their children would suffer most. Besides it can be argued that present situation is temporary, because women have become feminists and men are left a bit behind in their fight for their rights. As soon as men will find their correct place in marriage through cooperation, the tension releases and the social attitude for marriage will improve by itself.